Well over a year before its string of death and derailment, Metro North was subjected to the first Federal Rail Safety Act whistleblower jury trial in the nation, Barati v Metro North. During that trial, cross examination of the Heads of Metro North’s Safety, Training, and Track Departments exposed the disconnect between the Railroad’s window dressing safety policies and the profoundly unsafe culture of its workplace. The jurors saw how the Railroad–rather than welcome employee reports of safety hazards or injuries as an opportunity to eliminate unsafe conditions through root cause analysis–instead “shoots the messenger” by retaliating against those workers. The result is a profoundly unsafe railroad where hazards are ignored and perpetuated.

The jurors expressed their outrage by awarding $1 million in punitive damages in order to send an unmistakable message that such a culture is not acceptable and will not be tolerated by the public. The federal judge upheld the jury’s punitive damage award, explaining:

Here, the jury registered their measure of reprehensibility to underscore their finding that the Railroad’s conduct was in reckless disregard of Mr. Barati’s safety and FRSA rights. Their conclusion was supported by the evidence that the Railroad singled Barati out for discipline for a safety violation. The jury also had evidence that Metro North’s termination of Barati was contrary to its written policies and FRA regulations, was a self-serving effort to discourage employee injury reporting in order to keep its injury and lost workday statistics low, violated Metro North’s own obligation to accurately report employees’ on-the-job injuries and resulting lost work days, and contravened Metro North’s “safety statement” that “we are committed to the safety of our employees and our customers,” and “we are determined to provide a work environment where all employees work safety.”

Next to the entry, the page also holds quantum chemistry results:
/*
# 1
Entry from OMol25: a cluster of 2 separate species, C7H18BF3O8PS in total (wB97M-V/def2-TZVPD).

Geometry as XYZ:
```
39
Properties=species:S:1:pos:R:3:forces:R:3:mulliken_charge:R:1
S -2.6913 2.1554 2.2655 0.165 0.070 -0.193 1.244
P -0.6185 -0.6819 0.2583 0.245 0.194 0.527 0.494
F -3.7428 3.9700 3.8768 0.000 0.122 0.066 -0.241
F -4.1321 1.9304 4.4745 -0.033 -0.065 0.122 -0.238
F -5.2022 2.7902 2.8058 -0.128 0.013 -0.031 -0.244
O -1.5062 2.1723 3.0997 0.015 -0.047 0.095 -0.671
O -2.7150 3.1468 1.2140 -0.034 0.041 -0.026 -0.682
O -0.9160 -1.7039 3.0641 0.366 -0.295 -0.084 -0.423
O 3.5734 -0.2880 -6.5295 -0.168 0.043 -0.082 -0.544
O 1.3838 0.7045 -3.8068 0.048 0.188 -0.130 -0.361
O -0.2506 -0.0728 -2.4405 -0.187 -0.067 0.048 -0.367
O -0.9040 -3.3565 1.3948 0.103 0.089 0.358 -0.517
O -3.1556 0.8384 1.8829 -0.029 -0.136 0.023 -0.667
C 1.0265 -0.3048 -2.8840 -0.111 -0.234 0.136 -0.320
C 1.0628 -1.3402 4.4074 -0.032 0.214 -0.222 -1.267
C 2.6438 0.4826 -4.3978 0.006 -0.099 0.240 -0.317
C -0.0738 -0.7009 3.6311 -0.249 0.201 0.328 -0.094
C -0.3581 0.5556 -1.1651 0.239 0.041 0.197 -0.745
C -4.0080 2.7402 3.4125 0.112 -0.064 -0.095 0.497
C 2.5756 -0.5199 -5.5466 -0.148 -0.097 0.272 -0.500
B -0.8017 -2.0053 1.7434 -0.198 -0.018 0.217 0.907
H -1.9145 -1.0173 -0.2299 0.041 -0.149 -0.090 -0.093
H 0.5452 -1.4506 -0.2257 -0.099 0.009 -0.365 -0.264
H -0.5550 0.4333 1.1625 -0.043 0.114 -0.199 -0.297
H 1.5762 -2.0750 3.7887 0.014 -0.154 0.027 0.288
H 4.3845 -0.6943 -6.2271 0.230 -0.052 0.027 0.310
H 0.7096 -1.8030 5.3243 0.021 -0.160 0.050 0.305
H 1.5936 -0.4278 -6.0053 0.027 0.122 -0.241 0.334
H 1.7466 -0.3161 -2.0553 0.105 0.084 0.041 0.366
H 1.7843 -0.5594 4.6492 0.046 0.017 0.188 0.371
H -0.6875 -0.0881 4.2857 -0.047 0.119 -0.047 0.289
H 2.6482 -1.5377 -5.1580 0.013 -0.130 -0.068 0.281
H -0.1106 -3.5998 0.9121 -0.185 -0.130 -0.469 0.285
H 3.3465 0.1338 -3.6304 0.173 0.042 0.007 0.325
H -1.2008 1.2473 -1.1494 -0.144 0.002 -0.179 0.434
H 0.3448 -0.0365 2.8781 -0.130 0.003 -0.153 0.221
H 1.0442 -1.2910 -3.3602 -0.022 -0.013 -0.170 0.204
H 0.5423 1.1378 -0.9427 0.106 0.064 -0.031 0.401
H 3.0126 1.4322 -4.7768 -0.085 0.117 -0.093 0.298
```
Forces are in eV/Å.

Output
HOMO energy in eV: -4.613
Charge: -1
Molecular weight in g mol⁻¹: 361.06
Kohn-Sham gap in Ha: 0.2503

---

# 2
Entry from OMol25: a structure of composition C7H18ClI2OP2W in a non-equilibrium geometry (wB97M-V/def2-TZVPD).

Geometry as XYZ:
```
32
Properties=species:S:1:pos:R:3:forces:R:3:mulliken_charge:R:1
W 0.0590 0.4424 0.1983 -2.464 0.885 1.918 0.179
I -2.5206 -1.1789 0.6412 1.366 -0.494 -0.984 0.306
I -0.5423 -2.4914 -1.0802 -1.140 1.103 1.195 0.429
Cl -0.0128 2.4070 1.3104 0.298 -1.257 -0.830 -0.180
P -0.9848 1.0391 -1.9596 -0.966 0.630 -2.195 0.938
P 0.9281 -1.0468 1.9923 0.905 -1.249 1.573 0.864
O 2.7508 -0.0267 -1.3742 -5.727 0.766 3.305 -0.208
C -2.2956 0.0912 -2.7987 0.032 -0.769 0.649 -1.174
C 0.1854 1.4654 -3.2805 0.352 0.089 0.381 -1.232
*/

But Metro North ignored the jury’s warning. Rather than see the $1 million in punitive damages as a wake up call, Metro North did nothing to shake up the culture of its Safety, Training, or Track Departments, and now is paying an incalculable price.

The findings of the FRA’s recent Deep Dive into the culture of Metro North Railroad are indeed damning:

“an ineffective Safety Department and poor safety culture”
“an ineffective training program”
“a deficient safety culture that has manifested itself in increased risk and reduced safety on Metro North”

But none of this should come as a surprise given that, per capita, Metro North has five times more FRSA violations than any other railroad in the country. In the past five years, OSHA, judges, and juries have ordered punitive damages against Metro North in nine separate cases. But the Railroad ignored those warnings to stop its reckless conduct, and the FRA did nothing to intervene.

Now, the FRA is ordering that “Metro North’s senior leadership must prioritize safety above all else, and communicate and implement that priority throughout Metro North.” A good place to start would be for Metro North to take its violations of the FRSA seriously, but given its record no one should be holding their breath. Lip service to paper policies do nothing to change an entrenched culture. Here is the FRA’s complete Deep Dive Report.  For more information on the FRSA, go to the free Rail Whistleblower Library.